• Source:
/*
TbPm3Er7: calculated powder diffractogram (λ = 1.5418 Å (Cu Kα)), based on DFT lattice parameters and positions (PBE).

Structure:
Unit cell a=5.8009 b=11.1193 c=11.1604 alpha=90.00 beta=90.00 gamma=90.00
Space group Immm (No. 71)
Unique sites:
Tb 0.0000 0.0000 0.0000
Pm 0.0000 0.0000 0.5000
Pm 0.0000 0.5000 0.2123
Er 0.0000 0.2080 0.3046
Er 0.0000 0.2944 0.0000
Er 0.0000 0.5000 0.5000

Peak list (10 most intense, 2θ from 15° to 90°, in order of falling intensity)
| index | two_theta | I (rel.) |
| --- | --- | --- |
| 1 2 3 | 32.84 | 100 |
| 2 0 0 | 30.83 | 40 |
| 2 4 0 | 45.14 | 25 |
| 3 2 3 | 56.11 | 22 |
| 0 3 1 | 25.29 | 19 |
| 0 4 0 | 32.20 | 18 |
| 0 0 4 | 32.08 | 14 |
| 1 0 3 | 28.53 | 14 |
| 2 3 1 | 40.28 | 11 |
| 1 7 2 | 62.91 | 10 |

=====

Hf5NbC4: calculated powder diffractogram (λ = 1.5418 Å (Cu Kα)), based on DFT lattice parameters and positions (PBE).

Structure:
Unit cell a=14.0893 b=3.2778 c=6.5339 alpha=90.00 beta=103.99 gamma=90.00
Space group C2/m (No. 12)
Unique sites:
Hf 0.0000 0.0000 0.0000
Hf 0.1643 0.5000 0.8213
Hf 0.1648 0.5000 0.3483
Nb 0.0000 0.0000 0.5000
C 0.0019 0.5000 0.7502
C 0.1679 0.0000 0.5888

Peak list (10 most intense, 2θ from 15° to 90°, in order of falling intensity)
| index | two_theta | I (rel.) |
| --- | --- | --- |
| 3 1 0 | 33.65 | 100 |
| 1 1 -2 | 38.92 | 53 |
| 2 0 2 | 33.93 | 32 |
| 6 0 0 | 39.55 | 26 |
| 7 1 -2 | 56.47 | 18 |
| 4 2 -2 | 67.03 | 18 |
| 5 1 2 | 56.92 | 17 |
| 0 2 0 | 56.12 | 9 |
| 2 2 2 | 67.22 | 9 |
| 6 2 0 | 70.82 | 9 |

=====

Ac6Tl6In: calculated powder diffractogram (λ = 1.5418 Å (Cu Kα)), based on DFT lattice parameters and positions (PBE).

Structure:
Unit cell a=6.9044 b=6.9044 c=11.4779 alpha=90.00 beta=90.00 gamma=120.00
Space group P6/mmm (No. 191)
Unique sites:
Ac 0.0000 0.0000 0.1938
Ac 0.3333 0.6667 0.0000
Ac 0.3333 0.6667 0.5000
Tl 0.0000 0.5000 0.2514
In 0.0000 0.0000 0.5000

Peak list (10 most intense, 2θ from 15° to 90°, in order of falling intensity)
| index | two_theta | I (rel.) |
| --- | --- | --- |
| 2 0 2 | 33.81 | 100 |
| 1 1 2 | 30.21 | 44 |
| 2 0 0 | 29.89 | 35 |
| 1 1 0 | 25.81 | 31 |
| 0 0 4 | 31.17 | 31 |
| 2 2 0 | 53.06 | 29 |
| 2 2 4 | 62.83 | 26 |
| 1 1 6 | 54.87 | 20 |
| 4 0 2 | 64.41 | 16 |
| 4 2 2 | 88.11 | 15 |

=====

Dy12YNi6: calculated powder diffractogram (λ = 1.5418 Å (Cu Kα)), based on DFT lattice parameters and positions (PBE).

Structure:
Unit cell a=9.8400 b=9.8400 c=9.8400 alpha=90.00 beta=90.00 gamma=90.00
Space group Im-3 (No. 204)
Unique sites:
Dy 0.0000 0.1844 0.3113
Y 0.0000 0.0000 0.0000
Ni 0.0000 0.3766 0.5000

Peak list (10 most intense, 2θ from 15° to 90°, in order of falling intensity)
| index | two_theta | I (rel.) |
| --- | --- | --- |
| 3 2 1 | 34.09 | 100 |
| 3 1 0 | 28.69 | 51 |
| 5 0 3 | 54.37 | 35 |
| 5 3 2 | 57.76 | 33 |
| 2 2 2 | 31.49 | 31 |
| 5 1 0 | 47.09 | 22 |
| 6 6 0 | 83.33 | 17 |
| 8 1 3 | 84.75 | 17 |
| 6 0 0 | 56.08 | 16 |
| 5 4 3 | 67.28 | 15 |

=====

Ac3Tl2Ag3: calculated powder diffractogram (λ = 1.5418 Å (Cu Kα)), based on DFT lattice parameters and positions (PBE).

Structure:
Unit cell a=4.9514 b=12.3112 c=15.7823 alpha=90.00 beta=90.00 gamma=90.00
Space group Cmcm (No. 63)
Unique sites:
Ac 0.0000 0.0890 0.1068
Ac 0.0000 0.3771 0.2500
Tl 0.0000 0.2078 0.5974
Ag 0.0000 0.3505 0.7500
Ag 0.0000 0.3967 0.0401

Peak list (10 most intense, 2θ from 15° to 90°, in order of falling intensity)
| index | two_theta | I (rel.) |
| --- | --- | --- |
| 1 1 4 | 29.85 | 100 |
| 1 3 1 | 28.82 | 75 |
| 1 3 3 | 33.07 | 66 |
| 2 0 0 | 36.29 | 54 |
| 1 3 4 | 36.43 | 34 |
| 0 0 6 | 34.09 | 29 |
| 0 4 3 | 33.74 | 28 |
| 3 1 4 | 61.32 | 20 |
| 2 0 6 | 50.63 | 19 |
| 2 4 3 | 50.38 | 19 |

=====

PrSm2Cu9: calculated powder diffractogram (λ = 1.5418 Å (Cu Kα)), based on DFT lattice parameters and positions (PBE).

Structure:
Unit cell a=5.2583 b=5.2583 c=25.0730 alpha=90.00 beta=90.00 gamma=120.00
Space group R-3m (No. 166, hexagonal axes)
Unique sites:
Pr 0.0000 0.0000 0.0000
Sm 0.0000 0.0000 0.1440
*/
• Brief:
Retype everything further above without additions.
• Response:
TbPm3Er7: calculated powder diffractogram (λ = 1.5418 Å (Cu Kα)), based on DFT lattice parameters and positions (PBE).

Structure:
Unit cell a=5.8009 b=11.1193 c=11.1604 alpha=90.00 beta=90.00 gamma=90.00
Space group Immm (No. 71)
Unique sites:
Tb 0.0000 0.0000 0.0000
Pm 0.0000 0.0000 0.5000
Pm 0.0000 0.5000 0.2123
Er 0.0000 0.2080 0.3046
Er 0.0000 0.2944 0.0000
Er 0.0000 0.5000 0.5000

Peak list (10 most intense, 2θ from 15° to 90°, in order of falling intensity)
| index | two_theta | I (rel.) |
| --- | --- | --- |
| 1 2 3 | 32.84 | 100 |
| 2 0 0 | 30.83 | 40 |
| 2 4 0 | 45.14 | 25 |
| 3 2 3 | 56.11 | 22 |
| 0 3 1 | 25.29 | 19 |
| 0 4 0 | 32.20 | 18 |
| 0 0 4 | 32.08 | 14 |
| 1 0 3 | 28.53 | 14 |
| 2 3 1 | 40.28 | 11 |
| 1 7 2 | 62.91 | 10 |

=====

Hf5NbC4: calculated powder diffractogram (λ = 1.5418 Å (Cu Kα)), based on DFT lattice parameters and positions (PBE).

Structure:
Unit cell a=14.0893 b=3.2778 c=6.5339 alpha=90.00 beta=103.99 gamma=90.00
Space group C2/m (No. 12)
Unique sites:
Hf 0.0000 0.0000 0.0000
Hf 0.1643 0.5000 0.8213
Hf 0.1648 0.5000 0.3483
Nb 0.0000 0.0000 0.5000
C 0.0019 0.5000 0.7502
C 0.1679 0.0000 0.5888

Peak list (10 most intense, 2θ from 15° to 90°, in order of falling intensity)
| index | two_theta | I (rel.) |
| --- | --- | --- |
| 3 1 0 | 33.65 | 100 |
| 1 1 -2 | 38.92 | 53 |
| 2 0 2 | 33.93 | 32 |
| 6 0 0 | 39.55 | 26 |
| 7 1 -2 | 56.47 | 18 |
| 4 2 -2 | 67.03 | 18 |
| 5 1 2 | 56.92 | 17 |
| 0 2 0 | 56.12 | 9 |
| 2 2 2 | 67.22 | 9 |
| 6 2 0 | 70.82 | 9 |

=====

Ac6Tl6In: calculated powder diffractogram (λ = 1.5418 Å (Cu Kα)), based on DFT lattice parameters and positions (PBE).

Structure:
Unit cell a=6.9044 b=6.9044 c=11.4779 alpha=90.00 beta=90.00 gamma=120.00
Space group P6/mmm (No. 191)
Unique sites:
Ac 0.0000 0.0000 0.1938
Ac 0.3333 0.6667 0.0000
Ac 0.3333 0.6667 0.5000
Tl 0.0000 0.5000 0.2514
In 0.0000 0.0000 0.5000

Peak list (10 most intense, 2θ from 15° to 90°, in order of falling intensity)
| index | two_theta | I (rel.) |
| --- | --- | --- |
| 2 0 2 | 33.81 | 100 |
| 1 1 2 | 30.21 | 44 |
| 2 0 0 | 29.89 | 35 |
| 1 1 0 | 25.81 | 31 |
| 0 0 4 | 31.17 | 31 |
| 2 2 0 | 53.06 | 29 |
| 2 2 4 | 62.83 | 26 |
| 1 1 6 | 54.87 | 20 |
| 4 0 2 | 64.41 | 16 |
| 4 2 2 | 88.11 | 15 |

=====

Dy12YNi6: calculated powder diffractogram (λ = 1.5418 Å (Cu Kα)), based on DFT lattice parameters and positions (PBE).

Structure:
Unit cell a=9.8400 b=9.8400 c=9.8400 alpha=90.00 beta=90.00 gamma=90.00
Space group Im-3 (No. 204)
Unique sites:
Dy 0.0000 0.1844 0.3113
Y 0.0000 0.0000 0.0000
Ni 0.0000 0.3766 0.5000

Peak list (10 most intense, 2θ from 15° to 90°, in order of falling intensity)
| index | two_theta | I (rel.) |
| --- | --- | --- |
| 3 2 1 | 34.09 | 100 |
| 3 1 0 | 28.69 | 51 |
| 5 0 3 | 54.37 | 35 |
| 5 3 2 | 57.76 | 33 |
| 2 2 2 | 31.49 | 31 |
| 5 1 0 | 47.09 | 22 |
| 6 6 0 | 83.33 | 17 |
| 8 1 3 | 84.75 | 17 |
| 6 0 0 | 56.08 | 16 |
| 5 4 3 | 67.28 | 15 |

=====

Ac3Tl2Ag3: calculated powder diffractogram (λ = 1.5418 Å (Cu Kα)), based on DFT lattice parameters and positions (PBE).

Structure:
Unit cell a=4.9514 b=12.3112 c=15.7823 alpha=90.00 beta=90.00 gamma=90.00
Space group Cmcm (No. 63)
Unique sites:
Ac 0.0000 0.0890 0.1068
Ac 0.0000 0.3771 0.2500
Tl 0.0000 0.2078 0.5974
Ag 0.0000 0.3505 0.7500
Ag 0.0000 0.3967 0.0401

Peak list (10 most intense, 2θ from 15° to 90°, in order of falling intensity)
| index | two_theta | I (rel.) |
| --- | --- | --- |
| 1 1 4 | 29.85 | 100 |
| 1 3 1 | 28.82 | 75 |
| 1 3 3 | 33.07 | 66 |
| 2 0 0 | 36.29 | 54 |
| 1 3 4 | 36.43 | 34 |
| 0 0 6 | 34.09 | 29 |
| 0 4 3 | 33.74 | 28 |
| 3 1 4 | 61.32 | 20 |
| 2 0 6 | 50.63 | 19 |
| 2 4 3 | 50.38 | 19 |

=====

PrSm2Cu9: calculated powder diffractogram (λ = 1.5418 Å (Cu Kα)), based on DFT lattice parameters and positions (PBE).

Structure:
Unit cell a=5.2583 b=5.2583 c=25.0730 alpha=90.00 beta=90.00 gamma=120.00
Space group R-3m (No. 166, hexagonal axes)
Unique sites:
Pr 0.0000 0.0000 0.0000
Sm 0.0000 0.0000 0.1440